What to do
Could you write out the lines further below from the one with "8.14627 7.09137" to the one with "0.30298 1.29455" without altering anything?

Given
/*
DFT (ωB97M-V with the def2-TZVPD basis set) results for a molecular structure, C19H45InN5O7.

Geometry as XYZ:
```
77
Properties=species:S:1:pos:R:3:forces:R:3
In 0.03134 -1.20149 0.10455 -0.3 0.0 0.2
O -6.26488 -2.73514 3.32450 -0.1 0.0 0.1
O 5.97959 6.51412 1.01101 0.0 0.1 0.0
O 5.26364 -1.13850 0.44753 0.2 0.0 0.2
O 2.01253 3.97282 -1.60688 0.0 0.2 -0.2
O 3.40929 -1.98827 -0.41074 0.7 -0.3 -0.3
O -3.53795 -7.09741 -2.18139 0.1 0.0 0.0
O -1.13505 -4.39885 0.90364 0.2 -0.2 0.0
N 1.64226 5.88870 -0.49472 0.0 0.0 -0.1
N 8.14627 7.09137 0.98282 0.0 0.0 0.0
N -7.19860 -1.49207 1.71212 0.0 -0.1 0.0
N -3.50269 -5.70779 -3.93823 0.0 0.0 0.0
N -3.19889 -4.45969 1.76449 0.1 0.1 0.1
C 2.36451 0.68688 -1.01343 0.0 0.2 0.1
C 9.43189 7.37167 0.38428 0.0 0.0 0.0
C 1.91751 6.91644 0.48265 0.0 0.0 0.0
C 4.16378 -0.94230 0.00701 -0.6 0.0 -0.1
C -2.10379 -5.06037 1.21939 -0.1 0.2 -0.1
C 3.58069 4.51841 0.11802 0.0 -0.1 -0.1
C -2.95009 -4.70297 -4.81997 0.0 0.0 0.0
C -4.46194 -5.04680 2.14079 0.0 0.0 -0.1
C 2.36091 4.75020 -0.73967 0.0 -0.1 0.1
C -8.15982 -1.42674 3.97351 0.0 0.0 0.0
C -8.13981 -0.55755 1.13932 0.0 0.0 0.0
C 7.01793 6.58948 -1.14192 0.0 0.0 0.0
C -7.13144 -1.94706 2.99256 0.1 0.1 -0.1
C -1.53002 -5.80590 -2.49263 -0.1 0.0 0.0
C -2.17030 -6.54742 0.95342 -0.1 0.0 0.0
C 0.98182 0.77172 -0.36419 0.0 -0.3 -0.1
C -2.92432 -6.26714 -2.83711 0.0 0.1 0.0
C 6.99034 6.72668 0.36398 0.0 -0.1 0.0
C 3.50641 0.42184 -0.01237 0.3 0.1 -0.4
H -6.47302 -1.86094 1.11558 0.0 0.0 0.0
H -7.62846 0.32721 0.75571 0.0 0.0 0.0
H -1.21847 -6.83123 0.51462 0.0 0.0 0.0
H -1.50392 -4.73210 -2.29833 0.1 0.0 0.0
H 7.28333 7.53427 -1.61836 0.0 0.0 0.0
H -8.85275 -0.23656 1.89321 0.0 0.0 0.0
H 3.18309 0.61132 1.01737 -0.1 -0.1 -0.1
H -2.33630 -7.13993 1.85451 -0.1 0.1 0.0
H 3.30814 4.45374 1.17210 0.0 0.0 0.0
H 8.06161 7.15705 1.98520 0.0 0.0 0.0
H -8.69593 -1.01388 0.31793 0.0 0.0 0.0
H -1.19670 -6.31630 -1.59728 0.0 0.0 0.0
H 6.02765 6.29067 -1.47198 0.0 0.0 0.0
H -1.74502 -0.89416 0.23607 0.0 0.0 0.0
H 9.37335 7.25627 -0.69361 0.0 0.0 0.0
H -5.27635 -4.58529 1.57904 -0.1 -0.1 0.0
H -4.43188 -6.05025 -4.12360 0.0 0.0 0.0
H 2.36599 -0.07875 -1.80509 0.0 0.1 0.0
H 7.73754 5.83159 -1.45346 0.0 0.0 0.0
H 10.19621 6.68733 0.75710 0.0 0.0 0.0
H 0.30298 1.29455 -1.04685 0.0 0.0 0.1
H 9.75164 8.39311 0.59996 0.0 0.0 0.0
H -9.17210 -1.68450 3.65894 0.0 0.0 0.0
H -4.67535 -4.89592 3.19972 0.0 0.0 0.0
H 1.10112 7.00673 1.20330 0.0 0.0 0.0
H 2.95508 -1.80298 -1.24382 -0.6 0.2 0.4
H 0.82529 5.98161 -1.07701 0.0 0.0 0.0
H -2.87862 -5.07510 -5.84469 0.0 0.0 0.0
H 4.32971 1.11761 -0.20584 0.0 0.0 0.1
H 4.30464 5.32490 0.00678 0.0 0.0 0.1
H 2.82720 6.67804 1.02597 0.0 0.0 0.0
H -4.46278 -6.11310 1.92718 0.0 0.0 0.0
H 0.31105 -2.25677 -1.31941 0.1 0.0 -0.1
H -2.96961 -6.74980 0.23820 0.0 -0.2 0.0
H 2.05867 7.88908 0.00435 0.0 0.0 0.0
H -3.07699 -3.46504 1.89333 0.0 0.0 0.0
H 0.63297 -1.84580 1.63570 0.1 0.0 0.0
H -0.84356 -6.03366 -3.30969 0.0 0.1 0.0
H -1.95538 -4.42405 -4.48798 0.0 0.0 0.0
H 4.03088 3.57716 -0.18530 0.0 0.0 0.0
H 1.04320 1.37538 0.55138 0.0 0.0 -0.1
H -8.09479 -0.34238 4.07078 0.0 0.0 0.0
H 2.60864 1.62973 -1.51765 0.0 -0.1 0.0
H -7.95718 -1.88407 4.93709 0.0 0.0 0.0
H -3.56597 -3.80169 -4.82346 0.0 0.0 0.0
*/

Worked solution
N 8.14627 7.09137 0.98282 0.0 0.0 0.0
N -7.19860 -1.49207 1.71212 0.0 -0.1 0.0
N -3.50269 -5.70779 -3.93823 0.0 0.0 0.0
N -3.19889 -4.45969 1.76449 0.1 0.1 0.1
C 2.36451 0.68688 -1.01343 0.0 0.2 0.1
C 9.43189 7.37167 0.38428 0.0 0.0 0.0
C 1.91751 6.91644 0.48265 0.0 0.0 0.0
C 4.16378 -0.94230 0.00701 -0.6 0.0 -0.1
C -2.10379 -5.06037 1.21939 -0.1 0.2 -0.1
C 3.58069 4.51841 0.11802 0.0 -0.1 -0.1
C -2.95009 -4.70297 -4.81997 0.0 0.0 0.0
C -4.46194 -5.04680 2.14079 0.0 0.0 -0.1
C 2.36091 4.75020 -0.73967 0.0 -0.1 0.1
C -8.15982 -1.42674 3.97351 0.0 0.0 0.0
C -8.13981 -0.55755 1.13932 0.0 0.0 0.0
C 7.01793 6.58948 -1.14192 0.0 0.0 0.0
C -7.13144 -1.94706 2.99256 0.1 0.1 -0.1
C -1.53002 -5.80590 -2.49263 -0.1 0.0 0.0
C -2.17030 -6.54742 0.95342 -0.1 0.0 0.0
C 0.98182 0.77172 -0.36419 0.0 -0.3 -0.1
C -2.92432 -6.26714 -2.83711 0.0 0.1 0.0
C 6.99034 6.72668 0.36398 0.0 -0.1 0.0
C 3.50641 0.42184 -0.01237 0.3 0.1 -0.4
H -6.47302 -1.86094 1.11558 0.0 0.0 0.0
H -7.62846 0.32721 0.75571 0.0 0.0 0.0
H -1.21847 -6.83123 0.51462 0.0 0.0 0.0
H -1.50392 -4.73210 -2.29833 0.1 0.0 0.0
H 7.28333 7.53427 -1.61836 0.0 0.0 0.0
H -8.85275 -0.23656 1.89321 0.0 0.0 0.0
H 3.18309 0.61132 1.01737 -0.1 -0.1 -0.1
H -2.33630 -7.13993 1.85451 -0.1 0.1 0.0
H 3.30814 4.45374 1.17210 0.0 0.0 0.0
H 8.06161 7.15705 1.98520 0.0 0.0 0.0
H -8.69593 -1.01388 0.31793 0.0 0.0 0.0
H -1.19670 -6.31630 -1.59728 0.0 0.0 0.0
H 6.02765 6.29067 -1.47198 0.0 0.0 0.0
H -1.74502 -0.89416 0.23607 0.0 0.0 0.0
H 9.37335 7.25627 -0.69361 0.0 0.0 0.0
H -5.27635 -4.58529 1.57904 -0.1 -0.1 0.0
H -4.43188 -6.05025 -4.12360 0.0 0.0 0.0
H 2.36599 -0.07875 -1.80509 0.0 0.1 0.0
H 7.73754 5.83159 -1.45346 0.0 0.0 0.0
H 10.19621 6.68733 0.75710 0.0 0.0 0.0
H 0.30298 1.29455 -1.04685 0.0 0.0 0.1